Limitations and the Possibilities for Transcendence Essay Preview: Limitations and the Possibilities for Transcendence Report this essay Limitations and the Possibilities for TranscendenceForgiveness – when we forgive we are freed from our anger and bitterness because of the actions and words of another.The Beauty of Nature – There is a perfection in every single flower..
Essay On Body Art
Interesting Lecture of the Unicorns Essay Preview: Interesting Lecture of the Unicorns Report this essay Interesting Lecture about Unicorns An interesting lecture about unicorns’ appearance in tapestries was given by Dr. Jules Janick, a distinguished professor in horticulture. In his lecture he mainly discussed about two series of tapestries in 15th century: The Lady and the.
Social Realism “sa Kambas Ng Lipunan” Have you asked yourself if you have performed your role in life? The purpose of your existence or what is your importance in the society? When I watched the short film, I suddenly asked those questions to myself and wondered, how many people have I inspired or have I.
Passing Of Eclipse Essay Preview: Passing Of Eclipse Report this essay Passing of the Eclipse by Gertrude Harbart When I read the description of the humanities class for Indiana Tech I was not very happy to learn that it was a requirement. I have taken many business classes and that seems to fit right it.
Photographic Censorship – What They Are Afraid of Showing Us? Essay Preview: Photographic Censorship – What They Are Afraid of Showing Us? Report this essay Photographic Censorship: What They are Afraid of Showing us? One highly debated topic is one of the most difficult question for many people to answer. What is art? When several.
The Awakening Symbolism Essay Preview: The Awakening Symbolism Report this essay Brittany Tran The Awakening Symbolism There are many sources of symbolism in the novel The Awakening by Kate Chopin. The most obvious and repetitive one is the ocean. The sea represents freedom, desires and solitude, these elements of the ocean come together to make.
Attached: data records
# 1
Below is an optimized crystal structure of MnTl2Se6, with properties calculated at the PBE level.

Symmetry ... C2/m
Formation energy without anion corrections ... -115 meV per atom

The structure in extended XYZ format:
```
9
Lattice="7.229 -3.978 0.000 7.229 3.978 0.000 -0.424 0.000 4.282" Properties=species:S:1:pos:R:3 pbc="T T T"
Mn 0.000 0.000 0.000
Tl 3.790 0.000 2.354
Tl 10.243 0.000 1.928
Se 5.321 2.331 0.216
Se 7.017 2.340 2.141
Se 8.712 2.331 4.067
Se 5.321 -2.331 0.216
Se 7.017 -2.340 2.141
Se 8.712 -2.331 4.067
```

---

# 2
Below is an optimized crystal structure of MnTl2Se2, with properties calculated at the PBE level.

Symmetry ... P2_1/c
Formation energy without anion corrections ... -363 meV per atom

The structure in extended XYZ format:
```
20
Lattice="8.691 0.000 0.000 0.000 8.476 0.000 -1.896 0.000 7.821" Properties=species:S:1:pos:R:3 pbc="T T T"
Mn 0.539 1.026 1.290
Mn -0.409 3.212 5.201
Mn 7.205 5.265 2.621
Mn 6.257 7.450 6.531
Tl 1.251 0.488 4.537
Tl 2.199 3.751 0.627
Tl 2.022 5.638 3.852
Tl 1.074 7.076 7.763
Tl 5.722 1.400 0.059
Tl 4.774 2.838 3.969
Tl 4.597 4.726 7.195
Tl 5.544 7.989 3.284
Se -1.152 5.684 5.144
Se -0.204 7.030 1.234
Se 2.987 1.046 1.919
Se 2.040 3.192 5.830
Se 4.756 5.284 1.992
Se 3.808 7.430 5.902
Se 7.000 1.446 6.588
Se 7.948 2.792 2.677
```

* * * * *

# KNa8Sn2, optimized geometry, DFT PBE
data_KNa8Sn2
_chemical_formula_sum 'K2 Na16 Sn4'
_cell_length_a 10.122
_cell_length_b 14.213
_cell_length_c 6.159
_cell_angle_alpha 90.00
_cell_angle_beta 104.77
_cell_angle_gamma 90.00
_space_group_name_H-M_alt 'C 1 2/m 1'
_space_group_IT_number 12
_space_group_name_Hall '-C 2y'
loop_
_atom_site_label
_atom_site_fract_x
_atom_site_fract_y
_atom_site_fract_z
_atom_site_occupancy
K1 0.000 0.000 0.000 1
Na1 0.000 0.270 0.000 1
Na2 0.086 0.500 0.771 1
Na3 0.209 0.140 0.581 1
Sn1 0.000 0.310 0.500 1
# - formation enthalpy at 0 K (meV per atom) = -50


# KNaSn3, optimized geometry, DFT PBE
data_KNaSn3
_chemical_formula_sum 'K1 Na1 Sn3'
_cell_length_a 5.597
_cell_length_b 5.597
_cell_length_c 5.597
_cell_angle_alpha 90.00
_cell_angle_beta 90.00
_cell_angle_gamma 90.00
_space_group_name_H-M_alt 'P m -3 m'
_space_group_IT_number 221
_space_group_name_Hall '-P 4 2 3'
loop_
_atom_site_label
_atom_site_fract_x
_atom_site_fract_y
_atom_site_fract_z
_atom_site_occupancy
K1 0.000 0.000 0.000 1
Na1 0.500 0.500 0.500 1
Sn1 0.000 0.500 0.500 1
# - formation enthalpy at 0 K (meV per atom) = 323


# KNa4Sn, optimized geometry, DFT PBE
data_KNa4Sn
_chemical_formula_sum 'K2 Na8 Sn2'
_cell_length_a 6.808
_cell_length_b 6.626
_cell_length_c 9.543
_cell_angle_alpha 90.00
_cell_angle_beta 90.00
_cell_angle_gamma 90.00
_space_group_name_H-M_alt 'P m n 21'
_space_group_IT_number 31
_space_group_name_Hall 'P 2ac -2'
loop_
_atom_site_label
_atom_site_fract_x
_atom_site_fract_y
_atom_site_fract_z
_atom_site_occupancy
K1 0.000 0.244 0.000 1
Na1 0.000 0.494 0.627 1
Na2 0.000 0.777 0.270 1
Na3 0.248 0.204 0.379 1
Sn1 0.000 0.995 0.627 1
The Barcode Tattoo Essay Preview: The Barcode Tattoo Report this essay This story takes place in the year 2025. Money isnt valid anymore only credit cards. until their 17 they they are supposed to get the tattoo. The main character Kayla starts out being 16 years old. Shes brave and artistic. She finds out by.
Essay on Never Just Pictures: Bodies and Fantasies Essay Preview: Essay on Never Just Pictures: Bodies and Fantasies Report this essay Essay on Never Just Pictures: Bodies and Fantasies In our world today, everybody wants to look fabulous even if it means buy it or working towards it that will be done so far at.
Gilgamesh Essay Preview: Gilgamesh Report this essay In the epic of Gilgamesh, Gilgamesh embarks upon a quest seeking immortality as a means to peace, meaning, and joy in life. He tries to reach it in many different ways, each as unsuccessful as its predecessor. The two main types of immortality are physical and through the.
Beowulf Essay title: Beowulf A hero is someone that helps others no matter what the situation. There are many qualities that a hero must posses such as bravery, courage, strength, intelligence and honor. These qualities alone are not enough to make a hero. They must also be pure at heart, fight for the good of.